Seraph, his wife, Diana and their sons Tangora (The four year old) and Ion (The newborn)
And here's somethin else not involving this family! Er it involves Seraph's mom and dad though...
Arognat kneeled on the ground, holding onto Elijah as tight as she could. Her usual tough attitude was nowhere to be found as she sat there, watching her husband die. Tears rolled down her tanned cheeks as she looked into the man she loved, face.
"You can't die...Don't you dare leave me...you...you a*****e...You b*****d..." she muttered, between sobs. Elijah coughed up blood and looked back at her. "Oh...come on....don't go soft on me now, darlin'," he wheezed. "I'm not dead, I'm just kicking life's a**..." he paused and spit up more blood onto his shirt. "Aw damn....my shirt..."
Arognat wiped the blood off his chin and mouth. "Stop being so Goddamn optimistic, jerkwad," she replied, smiling a little.
Elijah coughed more violently."Oh...piss on it...Huh, wish I coulda seen what kinda trouble our boy Seraph got into...before..." he stopped and hacked up some more blood.
Arognat felt ever muscle in her body pinch. She couldn't take watching this. She's seen people die lots of times but seeing the one person she ever cared about die...
"Elijah...?" she called, sadly.
"You're...names's to damn...lo...ng..."
She found a small smirk on her face now. "B-bite me..."
Blood trailed down his lips as his eyes closed more. "Okay, this is it, anything you want me to say?" he asked of his wife.
Arognat rested her chin on the top of his head and cried some more.
"Say you won't go..." she whispered.
"Urgh, I can't lie to you..."
She frowned. "Then say you love me....p***k..."
"Urgh, I love you..pr-uhh..." His breathing had seized.
Arognat looked at his face and shook him a little. "Elijah...? Elijah! No! No please...." she whimpered, rubbing her face into his chest, despite the fact that she was probably covered in his blood now.
"I love you too..." she said softly. She stayed like that, holding his body for awhile before letting go. She eventually dug him a grave where she was, wishing she could do better for him, but right now, this was just going to have to do. She had a bone to pick with the man that murdered her husband. Arognat said her final farewell and sprinted off in the direction of the Royal Family Castle. She didn't even bother wiping off the blood of her husband, she knew if she died, she'd have a part of him with her.
Even if that sounded corny, she truly believe in it and she'd kill whoever thought against it. Anger built up in her furious, red eyes. Her tanned cheeks flushed and her fists remained clutched into balls. That guard was going to pay!
Half an hour later...
rognat clenched her teeth tightly. Elijah was murdered by one of them and she wasn't going to stand for it. She walked straight into the kingdom, two guards' corpses lying behind her. She made it to the center of the main hall. Her boots thumped, loudly on the crimson carpet beneath her.
In the distance the sounds of clanking armor and rapid footsteps could be heard, making their way towards her. Guards appeared all around her. Some at the top of the stairs, some running through the ballroom's doors and other coming from the outside of the castle. Arognat growled and stood completely still, wondering what group to take out first.
The guards rushed at her at once, their spears and swords steady. A spear thrusted towards her, but Arognat twisted her upper body away from the strike then ducked beneath a horizontal slash from another's sword. When she stood to her feet, she grabbed one's spear by it's rod and forced it back, knocking the wind out of it's owner. She then back kicked another guard behind her and spun around, slamming her foot into another guards face. It's impact, knocked off his helmet and sent him flying back.
"Huargh!" A guard grunted, bringing his sword down at her. Another guard behind her had his spear ready to impale her. Arognat side flipped out of harm's way, the other two guard's nailing each other with their own attacks. Arognat dashed at two other guards and grabbed one by the shoulders, threw him into another and dug her nails an inch into his face, then twisted her hand. Another guard charged at the woman with his sword drawn. He brought his blade down on Arognat, but she blocked the attack with her wrist guards and grabbed his wrists, fell backwards and swung him over her.
The man slammed into a wall and screamed out. Arognat now had a weapon for herself. She spun the sword around between her fingers and impaled a guard through his face. Another two guards came from behind her with their weapons drawn. Arognat ripped her bloody blade out of her victim's skull and did a spin slash, instantaneously, killing those two guards and another at her right. She black flipped away from an oncoming attack and landed on her feet. She suddenly spun around and locked swords with another guard.
"You're mine!" he growled.
Arognat clenched her teeth and lodged her foot into his breast plate. "I belong to no one anymore!!" She roared out, kicking him back. Once his arms flailed around, to keep his balance, she swung her sword around and decapitated him. Blood spritzed onto her face and clothes, but she paid no mind to it. It was nothing she wasn't use to.
She swung her sword around, ripping through flesh and bone of an incoming enemy. She dropped her weapon and side kicked another guard, then spun around another, grabbing his head in the process, and snapping his neck. She dropped his body and quickly lifted her arm up, a blade clashing against the metal plates on her wrist. Arognat looked over her shoulder at the trembling man, her red eyes penetrating him.
After more blood was shed, Arognat was beginning to tire out, but she was nowhere near considering a surrender.
Arognat panted, her face was covered in other's blood and her own sweat. There were atleast a dozen guards left and Arognat was determined to use the last of her strength to kill them. Unfortunately, before she could make it to the last of them, a blade penetrated her from behind. Her red eyes, widened and her mouth hung open. Blood trickled down her lips as she looked down at the blade. She grinned, somehow, grasping onto her life.
Calculated molecules that have nothing to do with the piece >
#w
Computed, not measured: a molecular structure, C25H28N3OPPdS4, with ωB97M-V/def2-TZVPD.

The calculation puts the HOMO energy at -6.60 eV. The LUMO energy is 0.0 eV. The value obtained for the HOMO-LUMO gap is 0.2435 hartree. Its multiplicity is 1.

Each line ends with the Löwdin charge.
Geometry (Å):
Pd -0.79633 -0.14176 1.62427  0.312
S -5.34200 -1.09580 2.88661  0.947
S -1.14125 -2.13672 2.78614  0.484
S -3.68903 -3.32849 3.85992  0.944
S -3.00322 0.36755 1.70759  0.497
P -0.27313 1.66243 0.40363  0.954
O -6.30086 -3.17382 4.20342  -0.063
N 1.27745 -0.62213 1.46761  -0.042
N -0.38954 -2.28702 -0.61792  0.009
N 0.99804 -2.56193 -0.73063  -0.114
C 1.53133 1.48169 0.22525  -0.287
C 3.70729 2.20984 -0.51696  -0.070
C 2.11417 0.35631 0.80026  -0.294
C 4.28013 1.08026 0.05607  -0.067
C -2.76408 2.27314 -2.73921  -0.068
C -5.32036 -2.63962 3.76660  -1.024
C 2.92256 -3.87696 -1.27544  -0.050
C -0.84948 3.38406 2.46930  -0.095
C -0.54356 3.30558 1.11419  -0.350
C 0.96539 -4.92730 -0.12210  -0.043
C -0.91018 1.76935 -1.28831  -0.348
C -0.88345 5.78103 2.32307  -0.077
C 2.33961 2.40530 -0.43354  -0.072
C -0.76866 1.28449 -3.64239  -0.079
C 3.48562 0.15264 0.70969  -0.025
C -0.20105 1.27263 -2.37661  -0.088
C -3.62478 -1.02294 2.56641  -1.162
C 0.80060 -4.27229 -2.53801  -0.050
C -2.04860 1.78623 -3.82510  -0.079
C -2.20065 2.26312 -1.47511  -0.096
C -2.87124 -2.03575 3.00631  -1.170
C -1.01369 4.62309 3.07296  -0.069
C -0.42956 4.47344 0.35983  -0.093
C -0.59710 5.70647 0.96562  -0.076
C 1.40091 -3.91670 -1.17653  -0.638
H -1.01949 6.74683 2.79202  0.105
H 5.34844 0.92293 -0.00837  0.108
H -0.12015 -4.96482 -0.03100  0.078
H 3.92342 -0.73385 1.15239  0.117
H 1.31013 -5.92457 -0.39725  0.087
H -0.28848 -4.32619 -2.49580  0.073
H 0.79810 0.87750 -2.23971  0.098
H -2.49109 1.79497 -4.81241  0.104
H 1.28866 -1.49928 0.91839  0.055
H -0.23086 4.41842 -0.70338  0.104
H 3.35766 -3.62306 -0.30792  0.079
H 1.15839 -5.24661 -2.87156  0.085
H 1.64631 -0.83170 2.39096  0.100
H -0.74461 -2.74660 0.21376  0.005
H 1.37570 -1.88501 -1.38894  0.109
H -1.25798 4.67937 4.12524  0.108
H -2.77056 2.62959 -0.62925  0.105
H 1.89267 3.28417 -0.87950  0.106
H 1.38153 -4.67183 0.85362  0.085
H -0.98264 2.47059 3.03750  0.078
H -0.92092 -2.56287 -1.43902  0.076
H 4.32847 2.93465 -1.02551  0.108
H 3.24739 -3.13199 -2.00650  0.081
H -0.51158 6.61175 0.37893  0.105
H -3.76735 2.65441 -2.87586  0.108
H -0.20968 0.90219 -4.48653  0.103
H 1.08458 -3.53329 -3.29166  0.084
H 3.31267 -4.84513 -1.58959  0.086

#x
Computed, not measured: a molecular structure, C25H28N3OPPdS4, with ωB97M-V/def2-TZVPD.

The calculation puts the HOMO energy at -6.57 eV. The LUMO energy is 0.0 eV. The value obtained for the HOMO-LUMO gap is 0.2406 hartree. Its multiplicity is 1.

Each line ends with the Löwdin charge.
Geometry (Å):
Pd 0.27126 -0.10428 0.09059  0.306
S -0.69172 -4.83670 0.45709  0.944
S -0.59123 -1.94656 1.32633  0.485
S 0.16344 -4.22081 -2.30896  0.944
S 0.22873 -1.24122 -1.81800  0.499
"You...killed him....?"
The tall, red-headed man looked at her oddly. "What?" he asked out of confusion. He was breathing hard due to the rush of his adrenaline. Arognat smirked and went limp, her life slipping away.
"Hey Viscen! Are you alright?" another guard asked, upon entering the castle. The man looked back at the soldier and then looked down at the woman's body. "Yeah, I'm fine...who was this woman?"
The soldier looked down at her as well. "I believe her name was Arognat Gahn. From what I heard, Lieutenant Anderson had killed her husband. Probably why she slaughtered our men."
Viscen kneeled down and brushed some hair out of the woman's face. Sighing he looked over at the decapitated corpse of Lieutenant Anderson. "Looks like she got her revenge. Well, come on. Let's start cleaning up," he said, sheathing his sword and walking towards the double doors.
Clarissa: Woah,woah, wait. So my dad killed you?
Arognat: *Glares* Yeah, that b*****d.
Denny: Wow. That's epic.
Viscen Sr.: Yeeeah...sorry about that, Arognat...
Arognat: It's a bit ******** too late for that! *Glares*